### Job
Next, filter the block further down: keep the lines with the word "Below".

### Excerpt
********
[1]
Below is a 6-piece molecular cluster, C10H32O6 overall in a non-equilibrium geometry, with properties calculated with ωB97M-V/def2-TZVPD.

Positions of all 48 atoms, in Å:
C  27.28500  1.48900  9.07700
O  27.89800  1.75900  7.84500
H  26.20300  1.27300  8.93500
H  27.32800  2.42000  9.62900
H  27.78400  0.62300  9.58400
H  27.66900  2.68700  7.57100
C  28.47500  0.72700  4.15500
O  27.56000  0.80100  5.23400
H  29.23500  1.47500  4.27500
H  28.04800  0.81200  3.11400
H  29.04600  -0.19500  4.33900
H  28.13500  1.07300  6.00000
C  26.90200  4.36400  6.23300
O  26.92700  4.37500  7.63000
H  27.91600  4.57300  5.86100
H  26.24300  5.13900  5.80600
H  26.61400  3.37400  5.86400
H  26.04900  4.55100  7.99100
C  25.40000  0.16800  12.15100
O  24.41500  -0.81600  11.96800
H  25.55000  0.71600  11.27500
H  26.32800  -0.36800  12.34800
H  25.19500  0.84700  13.01300
H  24.34400  -1.25300  12.80000
C  24.81700  0.39100  6.76800
C  23.49700  0.11800  7.52400
C  23.47600  0.79400  8.83400
O  22.54900  0.44600  6.83300
H  25.01900  1.46500  6.52500
H  24.89700  -0.11700  5.80700
H  25.69400  -0.07700  7.12700
H  23.46500  -0.96800  7.63200
H  22.58700  0.49600  9.44900
H  23.58600  1.89300  8.72800
H  24.35200  0.59600  9.48100
H  22.62900  -0.11900  6.05100
C  23.50500  2.72400  11.89000
C  24.72300  3.50200  12.41800
C  25.26600  4.38600  11.26000
O  24.52400  4.30100  13.34600
H  23.25500  1.96600  12.57600
H  23.80600  2.20900  10.93300
H  22.61200  3.33600  11.66100
H  25.53000  2.84500  12.78400
H  24.45600  4.71200  10.63800
H  25.95400  3.73700  10.65800
H  25.94500  5.17300  11.49900
H  23.76800  4.86900  13.10900

Computed properties:
Kohn-Sham gap	10.04	eV
total charge	0
energy relative to the best compared isomer or geometry (same formula, charge and spin)	441.9	kJ/mol
spin multiplicity	1
SMILES	CC(C)O.CC(C)O.CO.CO.CO.CO
highest occupied orbital energy	-9.38	eV
LUMO energy	0.7	eV
DFT total energy	-851.43686	Ha

Atomic partial charges in e from the Mulliken method, atoms 1 to 6:
1. C -0.3442
2. O -0.5339
3. H -0.0190
4. H 0.2911
5. H 0.2545
6. H 0.3358

[2]
Below is a 6-piece molecular cluster, C10H32O6 overall in a non-equilibrium geometry, with properties calculated with ωB97M-V/def2-TZVPD.

Positions of all 48 atoms, in Å:
C  -4.17900  -23.01400  8.60600
C  -4.49700  -21.54300  8.30400
O  -3.44900  -20.69100  8.63900
H  -5.06900  -23.63900  8.34600
H  -3.92700  -23.21300  9.65900
H  -3.33700  -23.28500  7.95700
H  -5.40500  -21.26300  8.80400
H  -4.86900  -21.54100  7.30800
H  -3.59100  -20.54800  9.60000
C  -7.30400  -24.60700  4.60300
C  -7.51100  -23.93000  3.23600
O  -6.35200  -23.30400  2.83600
H  -8.21500  -24.96900  5.12300
H  -6.86800  -23.95200  5.33000
H  -6.62700  -25.41300  4.51700
H  -8.31200  -23.17800  3.32300
H  -7.85900  -24.64700  2.49600
H  -6.61700  -22.76000  2.04600
C  -6.78900  -18.53300  9.07600
C  -8.23000  -18.52600  8.83300
O  -8.72000  -17.40100  9.54900
H  -6.37200  -17.54500  8.78800
H  -6.22700  -19.17100  8.38400
H  -6.59000  -18.78000  10.11000
H  -8.67200  -19.50000  9.13600
H  -8.47700  -18.41400  7.79900
H  -9.37800  -16.94400  9.01400
C  -5.98800  -19.19500  5.58100
C  -6.45800  -19.75200  4.22000
O  -5.33400  -19.93200  3.36700
H  -6.78500  -19.33000  6.32700
H  -5.72300  -18.12800  5.54600
H  -5.11700  -19.72700  5.89600
H  -7.12200  -19.02200  3.71300
H  -6.95100  -20.73200  4.31100
H  -5.64600  -20.19000  2.49900
C  -9.92400  -19.86300  5.51800
O  -10.55400  -20.21500  6.70200
H  -10.62400  -19.61500  4.70900
H  -9.07300  -20.50100  5.27800
H  -9.47500  -18.92000  5.78200
H  -11.18200  -19.49200  6.91200
C  -7.91100  -22.09400  7.58300
O  -9.29900  -22.25100  7.91300
H  -7.68800  -20.99500  7.64000
H  -7.74000  -22.38700  6.59100
H  -7.33700  -22.71200  8.23600
H  -9.78400  -21.53800  7.43500

Computed properties:
Kohn-Sham gap	10.00	eV
total charge	0
energy relative to the best compared isomer or geometry (same formula, charge and spin)	257.2	kJ/mol
spin multiplicity	1
********

### Worked solution
Below is a 6-piece molecular cluster, C10H32O6 overall in a non-equilibrium geometry, with properties calculated with ωB97M-V/def2-TZVPD.
Below is a 6-piece molecular cluster, C10H32O6 overall in a non-equilibrium geometry, with properties calculated with ωB97M-V/def2-TZVPD.